[wpdiscuz-feedback id=”5r60clhyqp” question=”Please leave a feedback on this” opened=”0″]How to how to seduce a man over text?[/wpdiscuz-feedback]
So you like a guy and want to take your relationship a step further. A step where you want to seduce him though text.
You want to know how to seduce a guy over text? You might even have searched on Google for text ideas? But you might be having some thoughts before sending him:
[wpdiscuz-feedback id=”yy9d6z98qo” question=”Please leave a feedback on this” opened=”0″]– What if you regret after sending the text?[/wpdiscuz-feedback]
[wpdiscuz-feedback id=”1v02qzc1tz” question=”Please leave a feedback on this” opened=”0″]– Is he not into sexting?[/wpdiscuz-feedback]
[wpdiscuz-feedback id=”hvn5tsxlqu” question=”Please leave a feedback on this” opened=”0″]– Are you coming off too strong in your texts?[/wpdiscuz-feedback]
[wpdiscuz-feedback id=”lfawf3ixgn” question=”Please leave a feedback on this” opened=”0″]– What if your guy will show your texts to his friends?[/wpdiscuz-feedback]
I can understand you are taking so much risk to sext someone who hasn’t even earned your trust yet.
Your reputation might get spoiled by just one sext or a nude photo that you send him. And just like women, even some men might not like the idea of getting a nude photo without prior warning.
[wpdiscuz-feedback id=”m9dqjqt80n” question=”Please leave a feedback on this” opened=”1″]How To Seduce A Man Over Text?[/wpdiscuz-feedback]
So how to seduce a man through texts?
Records of crystals, as found in the file >
********
# 1
Mg2TaH2 | PBE | optimized geometry

It has space group P4/mbm (No. 127), with a = 5.763 Å, b = 5.763 Å, c = 4.062 Å, α = 90.00°, β = 90.00° and γ = 90.00°. Symmetry generates all atoms from Mg at (0.185, 0.315, 0.000), Ta at (0.000, 0.000, 0.500) and H at (0.245, 0.255, 0.500).

As for the crystal system: tetragonal. The energy relative to the lowest polymorph listed for this composition comes out at 0 meV/atom.


# 2
SrCdCuGe2 | PBE | optimized geometry

It has space group I-4m2 (No. 119), with a = 4.424 Å, b = 4.424 Å, c = 11.080 Å, α = 90.00°, β = 90.00° and γ = 90.00°. Symmetry generates all atoms from Sr at (0.000, 0.000, 0.000), Cd at (0.000, 0.500, 0.250), Cu at (0.000, 0.500, 0.750) and Ge at (0.000, 0.000, 0.385).

The value obtained for the formation energy is -0.306 eV per atom. As for the crystal system: tetragonal.


# 3
CeAl3GaPd | PBE | optimized geometry

It has space group Cmcm (No. 63), with a = 5.809 Å, b = 14.224 Å, c = 5.630 Å, α = 90.00°, β = 90.00° and γ = 90.00°. Symmetry generates all atoms from Ce at (0.000, 0.196, 0.250), Al at (0.000, 0.370, 0.750), Al at (0.225, 0.000, 0.000), Ga at (0.000, 0.146, 0.750) and Pd at (0.000, 0.397, 0.250).

The value obtained for the formation energy is -0.382 eV per atom. As for the crystal system: orthorhombic.


# 1
Below is crystalline TcPtPb2 at its relaxed geometry, with properties calculated at the GGA-PBE level.

abc: 3.077 5.015 11.181
angles: 90.00 90.00 90.00
Space group Imm2 (No. 44)
One atom of each set of equivalent atoms:
Tc  0.000  0.000  0.000 x2
Pt  0.000  0.500  0.304 x2
Pb  0.000  0.000  0.546 x2
Pb  0.000  0.500  0.748 x2

Output
The formation energy is 0.4195 eV per atom. The value obtained for the relative energy among the computed polymorphs is 191 meV/atom. For the total moment, the calculation gives 1.5 μB per formula unit.

=====

# 2
Below is crystalline TcPt2Pb at its relaxed geometry, with properties calculated at the GGA-PBE level.

abc: 2.9484 2.9484 28.6927
angles: 90.00 90.00 120.00
Space group R-3m (No. 166, hexagonal axes)
One atom of each set of equivalent atoms:
Tc  0.0000  0.0000  0.0000 x3
Pt  0.0000  0.0000  0.2591 x6
Pb  0.0000  0.0000  0.5000 x3

Output
The formation energy is 0.2597 eV per atom. The value obtained for the relative energy among the computed polymorphs is 153 meV/atom. For the total moment, the calculation gives 0.0 μB per formula unit.

=====

no.,VASP energy (eV per atom)
1,-5.536
2,-6.279


Compound: RbCoB
Source: the Open Quantum Materials Database
Functional: PBE-GGA
Structure: optimized geometry
********
You can seduce your guy and still stay classy by sending him text messages that are not dirty and it’s a lot easier than you think. Let me show you how it’s done.
Flirt With Him
It is no secret that one of the easiest ways to seduce a guy is by flirting with him.
Don’t waste your time searching for magical lines that will make him fall for you. All you have to do is be playful and openly suggestive with him.
It is a risky move if you straight up tell him what you are thinking about. Instead, just follow a non-aggressive approach when you are flirting with him that doesn’t put too much pressure on him. Here are some flirty text messages to get you started.
You also don’t want to scare him off.
Compliment Him
If you think that guys are not interested in compliments about how handsome or cute they are, then you are wrong.
Just think for a second. Who doesn’t like sincere compliments?
Make sure than you feed him with sincere compliments and you are on the right track. But if he senses that you are making things up to impress him then you just put yourself in hot water.
Take Interest In His Day To Day Life
If you want to seduce a guy over text then you need to take a real interest in his everyday life too. Ensure that you are listening to what he says and let him know that he is not wasting his time on you.
Once you start listening to him and play the right cards you will start to see that he will open the door to seduction for you.
Learn To Play With Words
When you are trying to seduce him, just words of praise is not enough. Try to challenge him a little but don’t get too aggressive here.
If your tactics to seduce him are not working then you need to take a step back. Leave him hanging but don’t play hard to get. Tell him an interesting story but don’t complete it. Inform him you will finish it another time.
Will it work? You never know until you try.
Send Him Pictures
Wear a dress that you think will get his attention and send him your photo. It doesn’t mean you have to wear clothes that are too intimate. Just wear something that makes you look hot. Send him your photo and ask him what he thinks.
You can also take a photo with an innocent flying kiss. This is an excellent technique to seduce a guy and make him attracted to you.
Avoid Sending Nude Photos
Sending nude photos can be done by anyone. So get creative and do something different. Your words can do more to seduce him.
Using nudes can take you out of a conversation and the desire will be nonexistent. Instead use words in such a way that he visually starts thinking about you that will create intimacy and excitement in your relationship.
“I bought this really sexy dress today. You are gonna like it when you see it.”
Build Anticipation
Do you eat dessert before having dinner? No, right? Yeah, you might be guilty of it sometimes but you don’t always cheat on a regular basis.
What I’m trying to explain here is that whenever you text a guy, you have to build some anticipation and not go right for the kill. But how do you do it? You have to make him imagine certain things and grab his attention.
The best part should always be saved for the last.
You can achieve this by sending texts that have hidden meanings. A sexy text idea can be like this:
“You like to try new things, right? Let me give you a surprise tonight.”
Try to act like an innocent girl. If he replies you back with a sėxy text, you can get back to him with something like:
“You are so naughty. I wasn’t talking about that kind of surprise. ;)”
The point is to tease him and make him want more. You might feel like this is too much work. But remember that men are easily seduced and it doesn’t take much effort.
You don’t have to send a detailed, essay kind of text to seduce him. Even a simple “I want you” text can make him go crazy. You have to make him beg for more.
Take The Lead
Almost every woman let her man always be in charge. So why not change the role by taking charge and surprise him? Men love it and find it a turn on when women are in charge. Be dominating instead of submissive.
Get out of your comfort zone and do something different. You don’t have to play 50 shades with him. You don’t even have to tell him to have sex with you all night. Just send him a sweet and small text like this:
“Tonight I’m in charge and there are no rules.”
Your confidence will make your guy desire you more. You will also find it more fun when you are in control.
Seducing a man doesn’t just happen with mere words. It also takes a lot of patience and persistence. It takes a bit of trial and error before you hit it off.
There is no one rule that will work for every man. If your chemistry takes off from the start, then any seduction tactics with pretty much work for you. But for some men, it can take a lot of time.
Intimacy and physical touch are not the only things in a romantic relationship. If you are trying to seduce a guy for long-term, then slow and steady is the way to go.
It can get a little tricky in the beginning when you are getting to know him. But words are surely less risky than going the physical route. You can seduce him through words to get started. Good luck.
39 Subtle and Seductive Text Messages for Him to Keep Things Fun and Flirty
I can’t stop thinking about last night…
2. Just got out of the shower and you popped into my mind…what are you up to?
3. I had a dream about you last night.
4. You looked really sexy in my dreams last night.
5. Good morning. Woke up with you on my mind.
6. I can’t get your [insert body part here] out of my mind.
7. I can’t get my mind out of the gutter today and I think it’s your fault.
8. Knowing I’m going to see you tonight has made me very unproductive at work today.
9. Your [insert personal quality that may not normally be associated with sexiness here] is so sexy to me. (E.g.: obsession with finding the best coffee, hustler mindset, voice on the phone, interior design skills)
10. This song kinda reminds me of you [insert link to the song here].
11. I’m sorry you’re having a stressful day, wanna come over tonight and I’ll make it all better?
12. You’ve worked so hard today. Let me help you relax tonight.
13. Just got back from happy hour and I’m tipsy enough to tell you that I wish your hands were on me right now.
14. Kinda wanna call in sick tomorrow and just stay in bed with you all day.
15. I just got some new lingerie and need someone to show it to, want to see?
16. Wanna watch a scary movie so I have an excuse to crawl into your lap?
17. I just moved into my new apartment and I think you need to come help me break it in 😉
18. I think I might “forget” to wear panties to dinner tonight.
19. You should wear your new shirt to dinner tonight. It’s so cute on you.
20. I’m thinking of you today and it’s got me all distracted.
21. I can’t stop looking at that pic you sent me. You look so good.
22. I can’t get you out of my head.
23. I miss kissing you.
24. Next time you come over, I wanna show you how comfy my bed is.
25. Next time we go out, you should come up and see my place. I’ll clean it up just for you 😉
26. Come over tomorrow night. I have a little surprise for you…
27. After kissing me like that, I don’t know how much longer I can wait to see you again.
28. I got in a little trouble at work today…I might need you to punish me tonight.
29. I hope you have a great day, sexy.
30. It’s too bad you’re not here right now. I’m a little drunk and a little horny.
31. I need someone to help me build my bed…and then maybe test it out with me later.
32. I need a massage after yesterday’s workout, how are your skills?
33. When you look that cute, I’m not sure I can wait another week to see you.
34. I kinda want the girl sitting next to me to see your selfie over my shoulder so she can see how hot the guy I’m texting is.
35. If nobody else is at my apartment pool, do you think I’m allowed to tan topless?
36. Here’s my address for tonight. Looking forward to being picked up by my knight in shining armor.
37. Is this photo too sexy to post on Instagram? [send photo]
38. Can you help me choose which photo to post on Instagram? [send photos]
39. Let’s go to that wine bar down the street. The booths are really dark and cozy and surprisingly private 😉